What to do:
Next, work out how many lines underneath have the word "C25" in them; a number is enough.
Excerpt:
+++
A molecular structure, C39H32IN5O3SbTi, computed with wB97M-V/def2-TZVPD.

Calculated values
Kohn-Sham gap in eV: 6.61
Net charge: +1
E in eV: -92301.935

Cartesian coordinates (Å):
Ti1 0.4694 0.1230 -0.5863
C1 -5.1569 3.7404 -0.9718
C2 -4.9295 2.5333 -0.0913
C3 -5.8274 1.4664 -0.1471
C4 -5.5426 0.3084 0.5372
C5 -4.4172 0.3548 1.4013
C6 -3.5255 1.3791 1.2960
N1 -3.7796 2.5062 0.6097
Sb1 -1.7504 1.8370 2.4974
C7 -0.1711 2.0426 0.7938
C8 -0.0954 3.3640 0.2221
C9 1.1675 3.9849 -0.0458
C10 2.2944 3.4647 0.5900
C11 2.2497 2.1446 1.0884
C12 3.4003 1.4429 1.8010
N2 1.0447 1.4418 0.8951
C13 -2.0512 0.4608 4.2146
C14 -2.3497 -0.9287 4.3432
C15 -2.8093 -1.4338 5.6246
C16 -2.8526 -0.5401 6.6668
C17 -2.4849 0.8600 6.4324
C18 -2.5956 1.9058 7.4807
N3 -2.1195 1.2681 5.2504
H1 -6.0110 3.7760 -1.6457
H2 -4.2887 3.7314 -1.6378
H3 -5.1967 4.6872 -0.4480
H4 -6.6755 1.5508 -0.7564
H5 -6.0592 -0.6563 0.4105
H6 -4.2163 -0.4262 2.1601
H7 -1.0136 3.8055 -0.2008
H8 1.2175 4.8682 -0.6212
H9 3.1727 4.0935 0.7881
H10 3.1173 1.3596 2.9024
H11 4.2942 2.0106 1.7471
H12 3.4937 0.4364 1.3835
H13 -2.4212 -1.5813 3.4587
H14 -3.0394 -2.4554 5.6893
H15 -3.1367 -0.9268 7.6783
H16 -2.8223 2.8653 6.9802
H17 -1.5965 2.0751 7.9455
H18 -3.2587 1.6383 8.3444
N4 2.1192 -0.6530 -0.6194
C19 2.8470 -1.7179 -0.6855
C20 3.2445 -2.5847 0.4449
C21 4.5905 -3.0335 0.3472
C22 5.2342 -3.7069 1.4106
C23 4.4992 -3.9910 2.5764
C24 3.1333 -3.6753 2.5998
C25 2.5293 -2.8507 1.6212
C26 3.3319 -2.1425 -1.9767
C27 3.4560 -1.1910 -2.9996
C28 3.6792 -1.5551 -4.3266
C29 3.8958 -2.9345 -4.6544
C30 3.7110 -3.8742 -3.6355
C31 3.4300 -3.4922 -2.3179
H19 5.0456 -2.8405 -0.5923
H20 6.2493 -4.1070 1.2406
H21 5.0251 -4.4199 3.4101
H22 2.5910 -4.0166 3.4768
H23 1.5366 -2.4281 1.8340
H24 3.2519 -0.1580 -2.7485
H25 3.7159 -0.7340 -5.0839
H26 4.1383 -3.2187 -5.6494
H27 3.8310 -4.9241 -3.7950
H28 3.2466 -4.2557 -1.5830
O1 -2.2318 -2.7891 0.0730
C32 -1.5342 -1.8426 0.1919
N5 -0.6787 -1.0455 0.4119
I1 -0.3093 0.9597 -9.1184
C33 -0.6873 0.7956 -7.0989
C34 -0.9581 -0.4393 -6.4563
C35 -0.8145 -0.5348 -5.0409
C36 -0.5348 0.6295 -4.2928
C37 -0.4200 1.9146 -4.9439
C38 -0.4638 1.9534 -6.3325
C39 -0.2605 0.5621 -2.8288
O2 -0.3430 -0.6347 -2.2874
O3 0.0458 1.5032 -1.9960
H29 -1.3979 -1.2913 -7.0327
H30 -1.0378 -1.4543 -4.4873
H31 -0.2367 2.8006 -4.2637
H32 -0.1971 2.8393 -6.8720

Cartesian forces (eV/Å) of the 3 atoms listed first:
Ti 1.1 -1.5 1.1
C 0.7 0.1 -0.4
C 0.0 0.6 -0.1



A molecular structure, C39H33AsBrF6N5O5SSeW, computed with wB97M-V/def2-TZVPD.

Calculated values
2S+1: 4
Kohn-Sham gap (spin up / spin down) in eV: 6.86 / 4.07
Net charge: +1
E in eV: -283859.338

Cartesian coordinates (Å):
W1 0.5549 0.0053 -0.3230
C1 -1.1626 1.5377 3.6496
C2 -0.5706 1.4819 2.3768
N1 -0.4958 0.3705 1.6694
C3 -1.0854 -0.7574 2.1789
C4 -1.6051 -0.8125 3.4829
C5 -1.6310 0.3926 4.2187
C6 -2.1077 -2.0414 3.9729
C7 -2.0982 -3.1319 3.1462
C8 -1.6639 -3.0482 1.8129
C9 -1.2004 -1.8537 1.2876
N2 -0.8001 -1.5952 0.0014
C10 -1.1926 -2.3855 -1.0591
C11 -2.3165 -3.1800 -1.1568
C12 -2.5436 -3.9602 -2.3060
C13 -1.6662 -3.9637 -3.3539
C14 -0.5229 -3.1292 -3.3016
C15 0.4346 -3.0502 -4.3351
C16 1.4955 -2.2057 -4.1981
C17 1.6010 -1.4082 -3.0479
N3 0.7229 -1.4477 -2.0678
C18 -0.3185 -2.3254 -2.1701
H1 -1.1945 2.4880 4.1627
H2 -0.1355 2.3718 1.9596
H3 -2.0455 0.3927 5.2197
H4 -2.4975 -2.0975 4.9799
H5 -2.4586 -4.0853 3.5102
H6 -1.7027 -3.9333 1.1947
H7 -3.0422 -3.2022 -0.3572
H8 -3.4348 -4.5723 -2.3451
H9 -1.8325 -4.5795 -4.2273
H10 0.3146 -3.6638 -5.2194
H11 2.2585 -2.1208 -4.9580
H12 2.4237 -0.7187 -2.9410
O1 -2.0829 2.2822 -4.7705
C19 -1.8186 1.7870 -3.5532
C20 -2.8168 1.6880 -2.5605
C21 -2.4969 1.1869 -1.3251
N4 -1.2325 0.7963 -1.1269
C22 -0.3061 0.8868 -2.0297
Br1 2.9173 0.6921 -1.0209
C23 -0.5156 1.3708 -3.2991
H13 -2.9926 2.5973 -4.8293
H14 -3.8263 2.0178 -2.7684
H15 -3.2078 1.0884 -0.5165
H16 0.2613 1.4693 -4.0426
C24 6.6724 -2.9493 -2.2676
C25 6.1753 -2.7830 -0.8606
C26 5.9442 -3.8879 -0.0454
C27 5.4546 -3.7349 1.2379
+++
Worked solution:
2